Placeoflight's Blog

the indigo child debate
December 30, 2009, 2:10 pm
Filed under: Indigo Child | Tags: , ,

• Between two parts of the article: quantum chemistry results:
/*
# 1
Formula: C35H35CoN7Si
Source: the Open Molecules 2025 dataset
Level of theory: the ωB97M-V functional and the def2-TZVPD basis

## Properties
HOMO energy (alpha / beta)	-6.14 / -6.09	eV
spin multiplicity	2
total charge	0
LUMO energy (alpha / beta)	-0.97 / -1.00	eV
energy relative to the best compared isomer or geometry (same formula, charge and spin)	0.000	eV

Cartesian coordinates (Å):
1 Co 0.3080 0.3654 -0.0777
2 N 1.7356 -2.3348 -2.9844
3 C 1.3517 -1.2062 -2.3886
4 N 0.7113 -1.1656 -1.2656
5 C 0.3724 -2.3506 -0.6123
6 N -0.3655 -2.3309 0.4513
7 N -0.5900 -1.0163 0.8078
8 C -1.4345 -0.7049 1.7060
9 C -1.4803 0.7391 1.9924
10 C -2.2396 1.3114 2.9909
11 C -2.1345 2.6802 3.2017
12 C -1.2820 3.4243 2.4074
13 C -0.5641 2.7818 1.4079
14 N -0.6682 1.4748 1.2065
15 C 0.8772 -3.6045 -1.1547
16 C 0.7212 -4.8246 -0.4934
17 C 1.2363 -5.9771 -1.0420
18 C 1.9177 -5.9273 -2.2616
19 C 2.0880 -4.7330 -2.9251
20 C 1.5677 -3.5690 -2.3642
21 H 2.2622 -2.2783 -3.8408
22 H 1.5958 -0.2672 -2.8713
23 H -2.0225 -1.4514 2.2305
24 H -2.8839 0.6897 3.5985
25 H -2.7093 3.1579 3.9838
26 H -1.1651 4.4889 2.5501
27 H 0.1125 3.3089 0.7461
28 H 0.1991 -4.8341 0.4535
29 H 1.1204 -6.9197 -0.5248
30 H 2.3280 -6.8328 -2.6889
31 H 2.6299 -4.6902 -3.8619
32 C 5.2925 -1.9783 -0.9166
33 C 5.0067 -2.2379 0.4222
34 C 3.9894 -1.5682 1.0807
35 C 3.1946 -0.6037 0.4251
36 C 3.5318 -0.3224 -0.9137
37 C 4.5497 -1.0023 -1.5685
38 N 2.1101 0.0023 1.0286
39 C 2.2894 0.4160 2.3478
40 C 1.3823 0.1047 3.3699
41 C 1.5180 0.6269 4.6518
42 C 2.5870 1.4502 4.9719
43 C 3.5277 1.7324 3.9846
44 C 3.3826 1.2295 2.7035
45 H 6.0934 -2.4997 -1.4249
46 H 5.5858 -2.9800 0.9606
47 H 3.7745 -1.7952 2.1193
48 H 3.0085 0.4877 -1.4080
49 H 4.7900 -0.7403 -2.5950
50 H 0.5869 -0.5972 3.1595
51 H 0.7945 0.3599 5.4150
52 H 2.6957 1.8534 5.9705
53 H 4.3801 2.3610 4.2156
54 H 4.1193 1.4611 1.9416
55 C -1.5172 3.5569 -2.5313
56 Si -0.7275 1.8572 -2.5101
57 C -2.0721 0.6637 -1.9441
58 C -0.3293 1.3138 -4.2792
59 N 0.6029 1.7797 -1.4226
60 C 1.6282 2.7163 -1.4728
61 C 1.8852 3.5259 -2.5984
62 C 2.9135 4.4590 -2.6048
63 C 3.7304 4.6324 -1.4976
64 C 3.4868 3.8498 -0.3739
65 C 2.4621 2.9195 -0.3569
66 H -2.2460 3.6595 -3.3406
67 H -0.7741 4.3490 -2.6385
68 H -2.0435 3.7179 -1.5852
69 H -2.9305 0.7789 -2.6144
70 H -2.4253 0.8761 -0.9314
71 H -1.7623 -0.3832 -1.9903
72 H -0.9268 1.8745 -5.0038
73 H -0.5749 0.2548 -4.4129
74 H 0.7212 1.4551 -4.5440
75 H 1.2710 3.4311 -3.4865
76 H 3.0729 5.0582 -3.4942
77 H 4.5369 5.3536 -1.5110
78 H 4.1071 3.9620 0.5084
79 H 2.3001 2.2989 0.5179

Force components x, y, z for each atom (eV/Å):
0.27 0.29 -0.43
-0.07 -0.13 -0.13
0.18 0.13 0.00
-0.29 -0.21 0.24
0.18 0.04 -0.17
-0.09 0.27 0.13
0.00 -0.42 -0.12
-0.17 0.16 0.27
-0.04 -0.22 -0.02
-0.10 0.03 0.12
-0.03 -0.04 0.02
0.02 0.00 -0.01
0.00 0.05 -0.02
0.11 -0.05 0.02
-0.04 0.04 -0.03
-0.02 -0.03 0.02
0.01 -0.01 -0.01
0.00 -0.05 0.03
0.00 0.04 -0.01
0.03 -0.01 0.02
0.03 0.01 0.03
-0.11 -0.04 -0.01
-0.01 0.07 0.04
0.00 0.04 0.01
0.00 -0.01 0.01
*/
• So much for the quantum chemistry results:

Back in 2003 when we opened the center, the term Indigo child had a very different meaning than it does now.  Back then it simply meant a child who had a deep sense of spirituality.  Inherent in that naturally come intuitive gifts. 

Today it has morphed into a definition that includes a wide range of children and behaviors.  Recently I have been following some of the thoughts on various blogs and websites and am in a state of wonder at how vicious those are who feel this whole indigo thing is a scam and also at how some have exhalted themselves and/or their children to a near deity level.  It also appears that children with autism, ADD and ADHD, and other behaviors have all been classified as indigo children by some. 

So here is my take on the whole thing.  First, to call an indigo/crystal/other labeled child as something new is to negate the thousands of years that traditional tribal people have been walking in this way, having these abilities as a simple way of life.  I believe what is new is that people in the western culture are finally recognizing that having abilities is not a fraudulent claim.

While I too believe that many (but certainly not all) who are diagnosed with mental illnesses and other DSM defined syndromes are actually those who are experiencing intuitive abilities, but unable to control them, I cannot support the thought that just because one is ADD or autistic that one is “indigo.” 

Here at A Place of Light, we try very hard not to use labels.  Granted we do have the word Indigo and crystal on our website, but that is because it is the term that is currently in use, and we do like for people to find us!  We prefer to simply say someone has intuitive abilities.  These abilities can be both a gift and a challenge depending on how well one understands and controls them.  Because all people have a soul and that soul is energy, we believe all people can connect with the spirit world, which is energy itself. 

Our website has pictures of children who are nothing but light, of children who vibrate so quickly they are a blur on the page, of orbs and spirit people and of a UFO.  These things are not amazing or special, but rather part of the every day experience for one who is linked with the spirit world. 

Being able to walk in both worlds brings a richness and depth to one’s life experience.  It does not prevent one from having trials nor does it make one individual better than another.  It certainly does not mean one is instantly a deeply spiritual and honorable person!  Some use this ability to help; some use it to control and manipulate others (woe to them when that comes back to them, though!); some just take it for granted and go about their lives without paying it much attention.  But any time anyone says, “I just had a feeling,” they are using that intuitive ability.